Getting Funds for Your Own Business
Starting a company requires money, and as a rule, the amount will be more significant than you can accumulate from your current income. So, you should secure the necessary finances, which demands diligent preparation and scheduling. If you are looking for an option to get some money quickly, you may take advantage of the payday loan app. But if you still have time, consider making a detailed plan and calculating a budget for your start-up. Thus, you’ll be able to choose the best option to get the money.
Expenditures to Consider
The first step is to calculate predictable costs. You may create a list of basic business expenditures that increase proportionally as far as your venture expands:
- Staff salaries;
- Rent;
- Utilities and fuel;
- Paper, stationery, and office equipment;
- Costs of buying or leasing operating facilities;
- Remodeling charges;
- Fees and legal expenses;
- Insurance;
- Taxes;
- Tools and machinery.
Misplaced data records =
=====
Record 1
The following is a DFT calculation (PBE) of an optimized crystal structure of Ba2CaP4H6O16.

Lattice parameters (Å, degrees): 10.3823 5.5576 12.4232 79.53 90.00 90.00
Fractional coordinates of all 58 atoms:
Ba 0.6551 0.8589 0.8211
Ba 0.8449 0.8589 0.3211
Ba 0.1551 0.1411 0.6789
Ba 0.3449 0.1411 0.1789
Ca 0.5000 0.0000 0.5000
Ca 0.0000 0.0000 0.0000
P 0.3062 0.7661 0.9457
P 0.1938 0.7661 0.4457
P 0.9926 0.5887 0.7983
P 0.5074 0.5887 0.2983
P 0.4926 0.4113 0.7017
P 0.0074 0.4113 0.2017
P 0.8062 0.2339 0.5543
P 0.6938 0.2339 0.0543
H 0.0336 0.7114 0.5648
H 0.3272 0.6136 0.7584
H 0.1860 0.4386 0.9391
H 0.6860 0.5614 0.5609
H 0.4664 0.7114 0.0648
H 0.8272 0.3864 0.7416
H 0.1728 0.6136 0.2584
H 0.5336 0.2886 0.9352
H 0.3140 0.4386 0.4391
H 0.8140 0.5614 0.0609
H 0.6728 0.3864 0.2416
H 0.9664 0.2886 0.4352
O 0.3050 0.8338 0.8212
O 0.9919 0.8192 0.8486
O 0.4536 0.7625 0.9810
O 0.2709 0.9306 0.5073
O 0.1950 0.8338 0.3212
O 0.5081 0.8192 0.3486
O 0.0464 0.7625 0.4810
O 0.2291 0.9306 0.0073
O 0.0583 0.6320 0.6849
O 0.5572 0.6351 0.6285
O 0.2633 0.4854 0.9812
O 0.8434 0.5285 0.7817
O 0.3434 0.4715 0.7183
O 0.7633 0.5146 0.5188
O 0.0572 0.3649 0.8715
O 0.5583 0.3680 0.8151
O 0.4417 0.6320 0.1849
O 0.9428 0.6351 0.1285
O 0.2367 0.4854 0.4812
O 0.6566 0.5285 0.2817
O 0.1566 0.4715 0.2183
O 0.7367 0.5146 0.0188
O 0.4428 0.3649 0.3715
O 0.9417 0.3680 0.3151
O 0.7709 0.0694 0.9927
O 0.9536 0.2375 0.5190
O 0.4919 0.1808 0.6514
O 0.8050 0.1662 0.6788
O 0.7291 0.0694 0.4927
O 0.5464 0.2375 0.0190
O 0.0081 0.1808 0.1514
O 0.6950 0.1662 0.1788

## Properties
The value obtained for the total energy is -6.5636 eV/atom. The value obtained for the formation energy is -2.563 eV per atom. As for the total energy after the MP2020 corrections: -6.94 eV/atom. The space group is P2_1/c.

***

Record 2
The following is a DFT calculation (PBE) of an optimized crystal structure of Nd2Mn3Cu9P7.

Lattice parameters (Å, degrees): 9.5220 9.5220 3.8266 90.00 90.00 120.00
Fractional coordinates of all 21 atoms:
Nd 0.3333 0.6667 0.0000
Nd 0.0000 0.0000 0.5000
Mn 0.7528 0.2050 0.5000
Mn 0.4522 0.2472 0.5000
Mn 0.7950 0.5478 0.5000
Cu 0.7134 0.9477 0.0000
Cu 0.2344 0.2866 0.0000
Cu 0.0523 0.7656 0.0000
Cu 0.9441 0.4463 0.0000
Cu 0.5021 0.0559 0.0000
Cu 0.5537 0.4979 0.0000
Cu 0.0902 0.3703 0.5000
Cu 0.2800 0.9098 0.5000
Cu 0.6297 0.7200 0.5000
P 0.9502 0.2044 0.0000
P 0.2542 0.0498 0.0000
P 0.7956 0.7458 0.0000
P 0.0764 0.6241 0.5000
P 0.5477 0.9236 0.5000
P 0.3759 0.4523 0.5000
P 0.6667 0.3333 0.0000

## Properties
The value obtained for the total energy is -5.7419 eV/atom. The value obtained for the formation energy is -0.418 eV per atom. The space group is P-6.

***

Record 3
The following is a DFT calculation (PBE) of an optimized crystal structure of KNaSe.

Lattice parameters (Å, degrees): 4.8542 8.1414 8.7792 90.00 90.00 90.00
Fractional coordinates of all 12 atoms:
K 0.7500 0.5136 0.6848
K 0.7500 0.0136 0.8152
K 0.2500 0.4864 0.3152
K 0.2500 0.9864 0.1848
=====
After you know the required start-up capital, you may choose the most suitable option for obtaining it.
Obtaining a Credit
One of the alternatives to get finances is to apply for a credit line. Compared to a credit card, a credit line interest rate is lower and may be subject to tax exemption. A business person borrows cash, uses their company assets as collateral, and regularly repays capital and interest on every outstanding balance.
Qualifications Required for the Credit
If you decide to apply for credit to start a business, consider the qualifications that financial institutions and investors usually expect to see. Make sure that you are ready to present:
- Business plan;
- General balance sheet and statement of revenues and expenditures;
- Cash flow forecast;
**What comes next are crystal structures, not part of the page**
=====
# 1
Sb2TeRu: optimized geometry, PBE.

Cell: 8.139 8.139 8.139 Å, 110.18 109.20 109.04°
Fractional positions:
1 Ru 0.000 0.500 0.000
2 Ru 0.500 0.500 0.500
3 Ru 0.000 0.000 0.500
4 Ru 0.500 0.000 0.000
5 Sb 0.846 0.660 0.506
6 Sb 0.342 0.497 0.155
7 Sb 0.658 0.813 0.155
8 Sb 0.846 0.340 0.185
9 Sb 0.154 0.340 0.494
10 Sb 0.154 0.660 0.815
11 Sb 0.342 0.187 0.845
12 Sb 0.658 0.503 0.845
13 Te 0.486 0.160 0.326
14 Te 0.514 0.840 0.674
15 Te 0.167 0.840 0.326
16 Te 0.833 0.160 0.674

Energy   -5.393 eV/atom
Energy of formation from the pure elements   -0.2239 eV/atom



# 2
USbRu: optimized geometry, PBE.

Cell: 7.404 7.404 3.986 Å, 90.00 90.00 120.00°
Fractional positions:
1 Sb 0.000 0.257 0.000
2 Sb 0.257 0.000 0.000
3 Sb 0.743 0.743 0.000
4 U 0.414 0.414 0.500
5 U 0.586 0.000 0.500
6 U 0.000 0.586 0.500
7 Ru 0.000 0.000 0.500
8 Ru 0.667 0.333 0.000
9 Ru 0.333 0.667 0.000

Energy   -8.561 eV/atom
Energy of formation from the pure elements   -0.3293 eV/atom



# 3
USb2Ru: optimized geometry, PBE.

Cell: 4.384 4.384 9.175 Å, 90.00 90.00 90.00°
Fractional positions:
1 Ru 0.000 0.000 0.500
2 Ru 0.500 0.500 0.500
3 Sb 0.000 0.000 0.000
4 Sb 0.000 0.500 0.321
5 Sb 0.500 0.000 0.679
6 Sb 0.500 0.500 0.000
7 U 0.000 0.500 0.726
8 U 0.500 0.000 0.274

Energy   -7.537 eV/atom
Energy of formation from the pure elements   -0.3306 eV/atom



# 4
Zn11SbRu3: optimized geometry, PBE.

Cell: 5.263 5.263 16.965 Å, 90.00 90.00 98.01°
Fractional positions:
1 Ru 0.769 0.763 0.389
2 Ru 0.421 0.438 0.250
3 Ru 0.769 0.763 0.111
4 Ru 0.562 0.579 0.750
5 Ru 0.237 0.231 0.889
6 Ru 0.237 0.231 0.611
7 Zn 0.568 0.955 0.250
8 Zn 0.503 0.497 0.500
9 Zn 0.752 0.342 0.873
10 Zn 0.998 0.498 0.499
11 Zn 0.000 0.000 0.500
12 Zn 0.045 0.432 0.750
13 Zn 0.274 0.671 0.123
14 Zn 0.752 0.342 0.627
15 Zn 0.658 0.248 0.127
16 Zn 0.128 0.119 0.335
17 Zn 0.503 0.497 0.000
18 Zn 0.998 0.498 0.001
19 Zn 0.274 0.671 0.377
20 Zn 0.329 0.726 0.877
21 Zn 0.881 0.872 0.835
22 Zn 0.329 0.726 0.623
23 Zn 0.000 0.000 0.000
24 Zn 0.128 0.119 0.165
25 Zn 0.502 0.002 0.501
26 Zn 0.502 0.002 0.999
27 Zn 0.658 0.248 0.373
28 Zn 0.881 0.872 0.665
29 Sb 0.930 0.589 0.250
30 Sb 0.411 0.070 0.750

Energy   -3.201 eV/atom
Energy of formation from the pure elements   -0.1466 eV/atom



- Which value of energy of formation from the pure elements does entry 4 give?
  -0.1466 eV/atom



- Look up the energy of formation from the pure elements of the fourth one.
  -0.1466 eV/atom

~~~~~

Record 1
First-principles (r2SCAN) data for a relaxed structure of TmSbO4, as listed in the Materials Project.

Energy of formation from the pure elements in kJ/mol of formula units: -1569
Energy in eV per cell: -403.9
Total magnetic moment in μB per cell: 0.0

Unit cell a=5.2765 b=7.5259 c=7.4126 alpha=81.48 beta=90.32 gamma=91.78
Atoms (fractional coordinates):
O 0.5994 0.5696 0.8071
O 0.1223 0.6700 0.9371
O 0.5332 0.8149 0.1186
O 0.6051 0.3265 0.5619
O 0.0896 0.4326 0.6885
O 0.4006 0.4304 0.1929
O 0.0023 0.8292 0.6154
=====
- Profit and loss statement;
- Personal financial report for all business associates;
- Credit history;
- Personal income certificate;
- Information on commercial debt.
[What comes next are calculated crystals, not part of the piece]
+++
Entry 1:
Material: CoH2Cl2O
Method: DFT, PBE with a Hubbard U
State: optimized geometry

a b c (Å): 3.5747 8.8809 11.4753
angles (deg): 90.00 90.01 89.99
Fractional coordinates of all 24 atoms:
Co 0.7500 0.8207 0.5187
Co 0.2500 0.1793 0.4813
Co 0.7500 0.3206 0.9813
Co 0.2500 0.6794 0.0187
H 0.7500 0.1911 0.7684
H 0.7500 0.6911 0.7314
H 0.2500 0.8089 0.2316
H 0.2501 0.3089 0.2686
H 0.7500 0.0549 0.8612
H 0.7499 0.5549 0.6387
H 0.2500 0.9451 0.1388
H 0.2501 0.4451 0.3613
Cl 0.2499 0.1941 0.0912
Cl 0.2501 0.6941 0.4088
Cl 0.7501 0.8059 0.9088
Cl 0.7500 0.3059 0.5912
Cl 0.7499 0.5343 0.1226
Cl 0.7501 0.0343 0.3775
Cl 0.2500 0.4657 0.8774
Cl 0.2498 0.9657 0.6225
O 0.7501 0.1649 0.8519
O 0.7500 0.6648 0.6481
O 0.2499 0.8351 0.1481
O 0.2500 0.3352 0.3519

Results
Total magnetic moment ... 0.000 μB per formula unit
VASP energy ... -104.43 eV/cell
Energy relative to the elements ... -0.98 eV per atom

Entry 2:
Material: CoH4Cl2O2
Method: DFT, PBE with a Hubbard U
State: optimized geometry

a b c (Å): 3.6035 5.6861 5.6861
angles (deg): 97.47 96.91 96.91
Fractional coordinates of all 9 atoms:
Co 0.0000 0.0000 0.0000
H 0.8452 0.2160 0.6028
H 0.1548 0.3972 0.7840
H 0.8452 0.6028 0.2160
H 0.1548 0.7840 0.3972
Cl 0.5832 0.2352 0.2352
Cl 0.4168 0.7648 0.7648
O 0.0000 0.7614 0.2386
O 0.0000 0.2386 0.7614

Results
Total magnetic moment ... 3.000 μB per formula unit
VASP energy ... -41.17 eV/cell
Energy relative to the elements ... -1.10 eV per atom

Entry 3:
Material: CoPH4ClO3
Method: DFT, PBE with a Hubbard U
State: optimized geometry

a b c (Å): 7.4661 9.5619 13.4035
angles (deg): 90.00 90.00 90.00
Fractional coordinates of all 80 atoms:
Co 0.6185 0.3548 0.5012
Co 0.1185 0.6452 0.9988
Co 0.3815 0.1452 0.0012
Co 0.8815 0.8548 0.4988
Co 0.3815 0.6452 0.4988
Co 0.8815 0.3548 0.0012
Co 0.6185 0.8548 0.9988
Co 0.1185 0.1452 0.5012
P 0.7251 0.1101 0.1514
P 0.2251 0.8899 0.3486
P 0.2749 0.3899 0.6514
P 0.7749 0.6101 0.8486
P 0.2749 0.8899 0.8486
P 0.7749 0.1101 0.6514
P 0.7251 0.6101 0.3486
P 0.2251 0.3899 0.1514
H 0.7988 0.0101 0.2168
H 0.2988 0.9899 0.2832
H 0.2012 0.4899 0.7168
H 0.7012 0.5101 0.7832
H 0.2012 0.9899 0.7832
H 0.7012 0.0101 0.7168
H 0.7988 0.5101 0.2832
H 0.2988 0.4899 0.2168
H 0.6319 0.2070 0.2116
H 0.1319 0.7930 0.2884
H 0.3681 0.2930 0.7116
H 0.8681 0.7070 0.7884
H 0.3681 0.7930 0.7884
H 0.8681 0.2070 0.7116
H 0.6319 0.7070 0.2884
H 0.1319 0.2930 0.2116
H 0.0715 0.0769 0.0889
H 0.5715 0.9231 0.4111
H 0.9285 0.4231 0.5889
H 0.4285 0.5769 0.9111
H 0.9285 0.9231 0.9111
H 0.4285 0.0769 0.5889
H 0.0715 0.5769 0.4111
H 0.5715 0.4231 0.0889
H 0.2062 0.9433 0.0947
H 0.7062 0.0567 0.4053
H 0.7938 0.5567 0.5947
H 0.2938 0.4433 0.9053
H 0.7938 0.0567 0.9053
H 0.2938 0.9433 0.5947
H 0.2062 0.4433 0.4053
H 0.7062 0.5567 0.0947
Cl 0.3752 0.2378 0.4009
Cl 0.8752 0.7622 0.0991
Cl 0.6248 0.2622 0.9009
Cl 0.1248 0.7378 0.5991
Cl 0.6248 0.7622 0.5991
Cl 0.1248 0.2378 0.9009
Cl 0.3752 0.7378 0.0991
Cl 0.8752 0.2622 0.4009
O 0.5844 0.0364 0.0856
+++
Getting a Loan
A steady relationship with a particular financial establishment can be beneficial when it comes to getting loans. In case you use more than one bank or any other credit institution, you should open a commercial banking account or establish a few small credit lines before requesting a big loan.
Remember that any prospective lender may wonder how much of your funds you are ready to invest in your business affairs. Among other things, this is one of the ways to evaluate your commitment to the venture.
A Little Assistance
Since 1993, the Small Business Administration (SBA) has established microloans to assist enterprises with financing office leases, machinery, equipment, and other fundamental necessities. The maximum amount you may borrow is 50,000 USD, and the term of any microloan can be up to six years. The SBA can assist you in establishing a loan package via a program referred to as Lender Match. If your business venture follows the SBA requirements, you may qualify for this type of financial help.
Whether you are only thinking about starting your business or already have an established company and looking to add a new ship to its fleet, you will need funds to make it. Consider hiring an experienced professional who can calculate the costs for you. There are a few options for getting start-up capital, and it’s only up to you to decide which of them suits you best.